

“I didn’t come here to argue,” the lady said. The lady and her associates trooped door to door handing out flyers inviting people to attend a special meeting at their church. She handed my friend Phillip a flyer.

He glanced at it, handing it off to me. Scanning the literature quickly, I decided to ask some questions.

Phillip, who is investigating the principles of Christianity, heard me ask her: “Do you believe Jesus is God?” She said, “We believe Jesus is the Son of God.” I repeated my question: “But, do you believe Jesus is God?” She repeated her answer word for word. She didn’t answer the question. But offered: “Jesus is a god.”

The Bible says, “Let your ‘yes’ be ‘yes’ and your ‘no’ be ‘no.’” The question is one of the most fundamental questions of Christianity. A simple response should be either “yes” or “no.”

I didn’t realize I was arguing. My objective was for Philip to have a clear understanding.
Before the lady left, I extended my hand: “Let’s not pretend. Our beliefs are not the same.” She smiled slightly. We shook hands; peace was made.

There’s enough proof to provide a book-length explanation of why Jesus is God. But ponder this observation. God says in the Bible, “Do not worship any other god, because I the LORD tolerate no rivals.” And the Bible contains numerous examples of Jesus being worshipped. From His birth until His return to heaven.

For example John 9:38: “Lord, I believe! And he (John) worshiped (Jesus) Him.” Because Jesus is God, Jesus never rejected a worshipper.

Unrelated to this entry: molecular data >
'''
# 1
91
Properties=species:S:1:pos:R:3:lowdin_charge:R:1 method="wB97M-V/def2-TZVPD" energy_ha=-5758.84112 homo_ev=-8.2 homo_lumo_gap_ha=0.030 charge=+1 lumo_ha=-0.2695
O 0.148 -9.953 2.903 -0.17
H -0.868 -4.335 3.584 0.14
C -0.078 0.235 2.059 -0.02
F -2.523 9.852 4.118 -0.14
O 2.023 2.053 -2.195 -0.37
C 6.631 1.760 -1.880 -0.31
H -2.824 -2.907 3.978 0.14
F -2.227 6.236 -2.573 0.12
O -3.452 7.161 3.036 -0.28
C 7.606 3.312 -3.525 0.08
O 1.031 -11.055 0.826 -0.17
F -0.715 6.557 -1.028 0.08
H -2.902 1.154 -0.589 0.14
O 0.791 0.312 -2.206 0.06
O -6.271 -6.297 2.329 -0.49
O -3.316 5.624 0.209 -0.29
C -5.403 -7.077 -0.972 -0.18
H -0.164 -1.739 3.595 0.10
F -1.664 8.266 -1.991 0.10
C -0.702 -1.128 2.736 0.00
H -4.834 -9.061 -0.329 0.16
O 1.037 -8.551 1.019 -0.29
H 3.576 2.910 -0.898 0.11
N 1.881 0.763 -1.843 -0.02
C -1.914 7.015 -1.498 -0.60
N 4.143 -0.296 1.623 -0.03
H 3.312 -0.786 1.182 0.07
C 1.614 2.219 0.273 -0.04
C -0.877 1.062 0.844 0.00
H 7.946 4.287 -3.849 0.14
F -1.845 10.504 2.146 0.13
H 4.192 -0.519 2.643 0.07
H 1.441 3.332 -3.813 -0.10
H -0.086 -6.349 1.953 0.11
C 6.734 0.656 -2.847 0.07
H 7.746 0.227 -5.780 0.12
C -6.535 -7.936 -2.696 -0.50
O 8.213 2.355 -5.600 0.12
C -2.029 -5.632 2.054 -0.22
N -2.466 8.003 0.791 -0.30
H 4.503 1.729 2.317 0.15
C 3.955 1.221 1.411 -0.18
C 7.245 0.860 -4.063 -0.20
C -2.732 -3.068 2.821 -0.10
O 6.180 1.601 -0.751 0.05
S -3.207 7.023 -0.211 0.61
O -1.134 -9.784 0.750 -0.20
C -2.171 -1.650 2.134 -0.05
O -5.924 -8.997 -2.091 0.08
S -3.312 8.281 2.102 0.60
H 4.538 1.472 0.428 0.08
O -4.394 7.555 -0.886 -0.27
H -5.346 -6.464 2.336 -0.19
H -4.579 -6.373 -0.827 0.13
C 1.409 0.805 2.570 -0.18
H -3.746 -3.380 2.326 0.13
O -6.140 -6.755 -2.137 0.04
H -5.008 -0.684 0.608 0.13
C 7.091 3.110 -2.310 -0.23
H -0.769 -3.750 1.768 0.06
Li 0.792 -3.523 2.218 0.80
P 0.270 -9.836 1.374 -0.10
O -4.299 -1.393 0.542 -0.07
C 2.410 2.878 -1.003 -0.12
H 6.380 -0.315 -2.528 0.14
C -2.986 -0.822 0.954 -0.09
C -4.924 -8.466 -1.242 -0.10
Na -6.330 -5.031 0.110 0.65
O -7.330 -8.032 -3.616 0.14
O -4.518 9.098 1.939 -0.26
C -1.510 -4.163 2.602 -0.15
O -3.244 -5.841 1.538 0.01
O -0.671 3.480 -0.203 0.01
H -3.966 -8.482 -1.773 0.15
C 7.731 2.203 -4.483 -0.30
Mg 2.970 3.267 -3.854 0.79
O 1.781 0.747 3.851 -0.02
C -0.049 2.394 0.262 -0.16
O 1.195 3.707 -4.672 -0.10
C 2.337 1.474 1.350 -0.03
O 6.968 4.148 -1.405 0.07
Ca -0.930 10.340 5.080 1.71
F -0.900 8.793 3.109 0.05
O 7.343 -0.173 -4.978 0.09
H 1.538 4.613 -4.639 0.02
C -2.338 0.563 0.281 0.11
H 2.073 4.003 -1.217 0.14
H 6.571 3.747 -0.601 0.11
O -1.013 -6.734 2.123 0.02
H -6.071 -7.026 -0.106 0.09
C -2.109 9.395 2.901 -0.63

# 2
60
Properties=species:S:1:pos:R:3:nbo_charge:R:1 method="wB97M-V/def2-TZVPD" energy_ha=-5789.00277 homo_ev="-3.7 / -4.1" multiplicity=2 relative_energy_kcal_mol=18.20 homo_lumo_gap_ha="0.222 / 0.236" charge=-1 lumo_ha="0.0871 / 0.0851"
H -0.746 5.504 3.178 0.21
H -2.468 3.879 2.463 0.22
C -0.613 3.451 -2.889 -0.36
H 1.953 3.301 -3.664 0.20
H -2.144 2.552 0.426 0.23
'''

Later Phillip and I discussed the disagreeing-about-Jesus incident. Ultimately Phillip must decide what he believes. My hope is that his choices and your choices will be weighed according to eternal accounting.



“I was depressed, so I cut my hair,” Lisa said. Did that help? “I made a mess of it,” she said. “And then I had to look in the Yellow Pages to find a cheap place so I could get it fixed.” If it was only that easy to alleviate depression.

Have you noticed? Depression seems epidemic.

So much so that the World Health Organization predicts by 2030 depression will be the second leading cause of illness in the world.

What’s the answer? Can I offer you two approaches?

Here’s an idea from The Oprah Magazine. “One study suggests that exercise can be as effective as drugs in treating major depression disorders.” The Bible concurs with this. “Bodily exercise is of some value.”

........
Formula: C6H10O2
Source: OMol25
Level of theory: ωB97M-V/def2-TZVPD

The geometry in ORCA input format:
```
! RIJCOSX wB97M-V def2-TZVPD def2/J DEFGRID3
* xyz 0 1
C 2.106 0.410 0.990
C 0.925 0.841 0.490
C 0.906 2.053 -0.301
C -0.434 0.078 0.711
C -0.643 -0.668 -0.578
C -1.863 -1.658 -0.344
O -2.529 -1.872 0.630
O -2.011 -2.477 -1.405
H 3.071 0.960 0.834
H 2.358 -0.487 1.549
H 1.791 2.687 -0.113
H 0.801 1.750 -1.348
H 0.202 2.827 0.071
H -1.120 0.698 1.080
H -0.254 -0.625 1.539
H 0.166 -1.468 -0.957
H -0.784 0.003 -1.374
H -2.685 -3.051 -1.473
*
```

highest occupied orbital energy: -9.3 eV
SMILES: C=C(C)CCC(=O)O
frontier orbital gap: 10.11 eV
LUMO energy: 0.77 eV
energy relative to the best compared isomer or geometry (same formula, charge and spin): 1.5872 eV

***

Formula: C6H10O2
Source: OMol25
Level of theory: ωB97M-V/def2-TZVPD

The geometry in ORCA input format:
```
! RIJCOSX wB97M-V def2-TZVPD def2/J DEFGRID3
* xyz 0 1
C -0.848 -1.726 -0.644
C -0.557 -1.345 0.768
C -0.250 -0.128 1.284
C 0.111 1.154 0.637
C -0.692 1.666 -0.532
C 1.526 0.325 0.256
O 2.507 0.261 0.953
O 1.596 0.207 -1.087
H -1.900 -1.548 -0.884
H -0.241 -1.169 -1.355
H -0.653 -2.790 -0.789
H -0.703 -2.137 1.492
H -0.106 -0.101 2.357
H 0.387 1.912 1.369
H -1.594 2.159 -0.155
H -1.003 0.884 -1.224
H -0.092 2.374 -1.116
H 2.512 0.000 -1.329
*
```

highest occupied orbital energy: -8.7 eV
SMILES: C/C=C\[C@H](C)C(=O)O
frontier orbital gap: 9.40 eV
LUMO energy: 0.70 eV
energy relative to the best compared isomer or geometry (same formula, charge and spin): 1.4091 eV

***

Formula: C6H10O2
Source: OMol25
Level of theory: ωB97M-V/def2-TZVPD

The geometry in ORCA input format:
```
! RIJCOSX wB97M-V def2-TZVPD def2/J DEFGRID3
* xyz 0 1
C 2.529 0.537 -0.284
C 1.132 0.324 0.369
C 0.272 -0.745 -0.187
C -1.034 0.309 -0.226
C -2.087 0.207 0.844
O -1.841 0.347 -1.437
C 0.035 1.351 0.025
O 0.042 2.515 -0.048
H 2.877 1.555 0.078
H 2.534 0.349 -1.406
H 3.258 -0.279 0.059
H 1.397 0.341 1.352
H 0.753 -1.032 -1.194
H -0.126 -1.621 0.321
H -2.520 1.319 0.978
H -1.675 -0.439 1.702
H -2.958 -0.331 0.429
H -1.302 -0.020 -2.148
*
```

highest occupied orbital energy: -9.3 eV
SMILES: C[C@@H]1C[C@](C)(O)C1=O
frontier orbital gap: 10.03 eV
LUMO energy: 0.70 eV
energy relative to the best compared isomer or geometry (same formula, charge and spin): 2.3218 eV

***

Formula: C6H10O2S
Source: OMol25
Level of theory: ωB97M-V/def2-TZVPD

The geometry in ORCA input format:
```
! RIJCOSX wB97M-V def2-TZVPD def2/J DEFGRID3
* xyz 0 1
C 1.133 1.248 1.492
C 0.197 0.350 0.732
C 0.536 0.121 -0.551
C 1.482 0.851 -1.427
S -0.595 -1.036 -1.295
O 0.011 -1.913 -2.301
C -1.312 -1.829 0.007
C -1.763 -0.822 1.080
O -0.648 -0.151 1.631
H 1.159 2.245 1.186
H 2.263 0.939 1.434
H 0.897 1.483 2.469
H 2.506 0.758 -0.926
H 1.245 1.865 -1.288
H 1.383 0.312 -2.381
H -1.366 -0.181 -2.100
H -2.130 -2.570 -0.303
H -2.647 -0.175 0.762
H -2.350 -1.498 1.781
*
```

highest occupied orbital energy: -8.1 eV
SMILES: CC1=C(C)[S@@H](=O)=CCO1
........
The text goes on.

The scripture continues: “But godliness has value for all things, holding promises for both the present age and the life to come.” The things of God need to be the greater focus.

David, one of the Bible’s greatest men, wrote three times in the course of less than a page: “Why are you downcast, O my soul? Why so disturbed within me?” David was talking to himself, voicing his depressive state.

**What comes next are records of molecules, not part of the piece:**
(1)
The following is a DFT calculation (the ωB97M-V functional and the def2-TZVPD basis) of a cluster of 4 separate species, C27H50N2O12S3Si in total.

- HOMO-LUMO gap (Eh) = 0.3209
- SMILES = CCC(=O)OCCc1ccc2nccnc2c1CCO[Si](C)(C)C.CCOS(C)(=O)=O.CCOS(C)(=O)=O.CCOS(C)(=O)=O

ORCA input file:
```
! wB97M-V def2-TZVPD RIJCOSX def2/J DEFGRID3
* xyz 0 1
C 5.70 -0.29 0.38
C 4.49 -0.75 -0.46
C 4.87 -0.79 -1.93
O 5.98 -0.59 -2.36
O 3.84 -1.07 -2.85
C 3.28 0.20 -3.23
C 1.73 0.06 -3.23
C 1.08 1.39 -2.83
C 1.50 2.54 -3.57
C 1.00 3.75 -3.24
C 0.07 3.94 -2.18
N -0.33 5.21 -1.91
C -1.17 5.23 -0.90
C -1.65 4.10 -0.20
N -1.26 2.88 -0.47
C -0.35 2.80 -1.48
C 0.17 1.50 -1.82
C -0.30 0.29 -1.02
C -1.06 -0.78 -1.85
O -2.42 -0.47 -2.10
Si -3.49 -0.87 -0.86
C -3.59 0.41 0.53
C -3.22 -2.58 -0.10
C -5.21 -0.91 -1.67
H 6.18 0.60 -0.03
H 5.36 -0.04 1.40
H 6.43 -1.11 0.48
H 3.70 -0.01 -0.30
H 4.16 -1.74 -0.11
H 3.54 0.93 -2.45
H 3.68 0.55 -4.20
H 1.43 -0.09 -4.28
H 1.41 -0.77 -2.62
H 2.20 2.50 -4.40
H 1.31 4.63 -3.80
H -1.54 6.21 -0.58
H -2.36 4.24 0.62
H -0.88 0.57 -0.13
H 0.62 -0.19 -0.64
H -0.57 -0.85 -2.83
H -0.89 -1.75 -1.37
H -3.33 1.42 0.21
H -2.99 0.07 1.39
H -4.63 0.41 0.88
H -4.14 -3.17 -0.12
H -2.98 -2.42 0.97
H -2.39 -3.15 -0.52
H -5.39 -0.01 -2.26
H -5.21 -1.75 -2.38
H -6.00 -1.11 -0.94
O -6.26 5.79 0.47
S -5.04 6.52 0.43
O -3.90 6.13 1.21
O -5.35 8.06 0.72
C -6.03 8.40 1.94
C -5.13 8.27 3.16
C -4.53 6.71 -1.25
H -6.93 7.79 2.05
H -6.35 9.43 1.84
H -4.84 7.23 3.33
H -5.65 8.62 4.05
H -4.22 8.84 3.02
H -5.38 7.04 -1.84
H -4.19 5.73 -1.59
H -3.71 7.42 -1.29
O -1.95 -5.77 -3.32
S -2.40 -6.68 -2.31
O -2.48 -6.29 -0.94
O -1.55 -8.03 -2.42
C -0.12 -7.94 -2.33
C 0.36 -7.66 -0.92
C -3.95 -7.35 -2.79
H 0.26 -7.19 -3.03
H 0.27 -8.91 -2.66
H 0.04 -6.68 -0.58
H 1.45 -7.70 -0.87
H -0.05 -8.39 -0.22
H -3.90 -7.69 -3.82
H -4.69 -6.56 -2.69
H -4.20 -8.18 -2.13
O 4.27 -1.90 4.87
S 5.49 -1.22 5.15
O 6.36 -0.77 4.10
O 6.34 -2.09 6.19
C 6.66 -3.44 5.84
C 7.73 -3.53 4.77
C 5.15 0.14 6.21
H 5.76 -3.98 5.53
H 7.02 -3.92 6.75
H 7.38 -3.11 3.83
H 8.02 -4.56 4.60
H 8.61 -2.95 5.07
H 4.52 -0.19 7.03
H 4.64 0.89 5.62
H 6.10 0.54 6.58
*
```

=====

(2)
The following is a DFT calculation (the ωB97M-V functional and the def2-TZVPD basis) of a cluster of 7 separate species, C25H38Cl2O12 in total.

- HOMO-LUMO gap (Eh) = 0.3794
- SMILES = O=C1CCCO1.O=C1CCCO1.O=C1CCCO1.O=C1CCCO1.O=C1CCCO1.O=C1CCCO1.ClCCl

ORCA input file:
```
! wB97M-V def2-TZVPD RIJCOSX def2/J DEFGRID3
* xyz 0 1
O 2.68 11.20 7.91
C 2.42 12.14 7.20
O 2.07 12.00 5.85
C 1.71 13.25 5.32
C 1.90 14.31 6.36
C 2.30 13.58 7.64
H 0.66 13.20 5.04
H 2.27 13.46 4.41
H 1.01 14.92 6.53
H 2.61 15.09 6.08
H 1.58 13.58 8.45
H 3.31 13.89 7.91
O 7.37 10.01 4.17
C 7.02 10.60 5.16
O 7.76 11.62 5.69
C 7.12 12.22 6.78
C 5.69 11.90 6.47
C 5.76 10.49 5.92
H 7.37 13.28 6.80
H 7.53 11.83 7.71
H 5.23 12.54 5.72
H 5.05 11.96 7.35
H 4.88 10.29 5.31
H 5.83 9.75 6.72
O -3.20 14.20 4.65
C -2.66 14.25 3.53
O -1.34 13.94 3.28
C -0.95 14.13 1.90

Each time in these three passages he answered his own question with this response: “Put your hope in God.”

He didn’t hope in family or friends to pull him out of his quandary. Not in a new haircut. Not in shopping. Not in drugs. Not in a psychiatrist. And not in himself.

His hope was in God.

God will love when no one else seems to—including ourselves. Experiences fade. God is everlasting. When human wisdom fails, God’s word, the Bible, provides the ultimate advice.

God says, “Draw near to Me and I will draw near to you.” Close to God is where true hope is discovered.



When my eyes scanned the e-mail, I felt like crying. It said, “You did a knockout job on the article.” From the editor of a Christian magazine, it referenced my first article for a nationally known publication. The e-mail also informed me of a delay. The article would not run until the next issue. My joy made patience easy.

A month went by. And then nearly another month. Finally--the editor’s next message arrived.

After a quick read, I felt like crying again. This time, from mountain top exhilaration, I plunged to the valley. As I read, my brain interpreted the message to say: “We can’t use your article, it’s not even fixable.” In reality the editor’s words had expressed more kindness. Somewhat consoling. Still, I had just been dumped.

Decision time.

Right away I made a choice to lockdown my emotions. Only God’s view could correctly manage the situation, not a tangled emotional mess. These words from the Bible offered godly direction. And personal inner strength. “Let nothing be done through selfish ambition or conceit, but in lowliness of mind let each esteem others better than himself.”

I focused my mind on the extreme challenges of the editor’s job and recognized how awkward it must have been for him to radically shift his appraisal of the article. The Bible adds: “Let each of you look out not only for his own interests, but also for the interests of others.”

I prayed for the editor. In my correspondence to him, my objective was to avoid adding any weight to his already burdensome job. And more mind-battles had to be fought to maintain a godly attitude.

Bottom line. This is how God, through His written Word, tells us to act. It’s not optional.

In all situations, focus on obeying God.



Her soft, caring voice lifted my spirits. “I’m glad you called,” Marsden said.

I’ve made thousands of phone calls to newspaper editors to entice them to run my column Inspiration Point. Marsden had previously allowed me to send her my information, which included five columns.

Marsden continued: “They’re lovely.” I’m thinking, “Yes, she’s going to run my column.” Then the tone of her voice shifted, “But they’re so religious.” She paused…“We live in a secular world.”

I disagree.

The Bible declares: “The whole earth is full of God’s glory” We live in a God-infused world.

I did not tell her this. I took a tack she could relate to. First I said, “I’m not trying to convince you to run my column.” I surmised the answer was already “no.” I told Marsden that I have talked to thousands of editors. The vast majority include faith sections in their publications. And even more newspapers are addressing their reader’s spiritual interests. Adding: “Even the Wall Street Journal has a faith section.”

I was simply being factual--in an easy going manner.

Then Marsden, who was previously convinced I was “too religious,” totally surprised me. “I’ll talk to the publisher,” she said. “We feel like we should do something regarding faith.”

Many people are like Marsden. They maintain that we live in a predominately secular world. But then they encounter the urge to: “Do something regarding faith.”

The Bible says: “God’s invisible qualities-- His eternal power and His divine nature, are clearly seen. They are perceived in the things that God has made. So people have no excuse at all!”

This reveals that this urge for God is initiated by God. Why struggle against God? Engage in the God-life which keeps enticing you. As you sense God drawing you, ask Him for the next step.